Brief.
Return every line further below that contains the word "powder".

Entries.
/*
Diffraction record for TaNbCo2. The powder XRD pattern is theoretical, not measured: it uses DFT lattice parameters and positions (GGA-PBE) and copper Kα.

Atomic structure:
a b c (Å): 5.0067 3.9742 6.1063
angles (deg): 90.00 107.82 90.00
Fractional positions:
Ta  0.2170  0.2500  0.4299
Ta  0.7830  0.7500  0.5701
Nb  0.2163  0.2500  0.9282
Nb  0.7837  0.7500  0.0718
Co  0.3226  0.7500  0.2081
Co  0.3233  0.7500  0.7031
Co  0.6767  0.2500  0.2969
Co  0.6774  0.2500  0.7919

Largest 6 diffraction maxima, sorted by position, 2θ from 10° to 90°:
| d [Å] | Rel. int. | h k l |
| --- | --- | --- |
| 3.052 | 32 | 1 1 0 |
| 2.383 | 36 | 2 0 0 |
| 2.347 | 100 | 1 1 -2 |
| 1.987 | 31 | 0 2 0 |
| 1.926 | 43 | 1 1 2 |
| 1.526 | 30 | 1 0 -4 |
*/

Written answer.
Diffraction record for TaNbCo2. The powder XRD pattern is theoretical, not measured: it uses DFT lattice parameters and positions (GGA-PBE) and copper Kα.